pastor Scott Saul's new book, Jesus Outside the Lines: A Way Forward for Those Who are Tired of Taking Sides tackles
issues that bring out the "unchristian" side of many believers on
Facebook or Twitter. He looks at issues from many angles and borrows thoughtful quotes from both Christians and atheists to send a message of respect and tolerance.
in the book, Sauls tells the story of how Dan Cathy, founder of Chick-fil-A,
and viewed as either a hero or bigot depending on one’s views on gay marriage,
never “personally affirmed or joined” the Christian rally to support
Chick-fil-A after the LGBTQ community boycotted the restaurant chain. In fact, in
the aftermath of Cathy’s public statements about viewing marriage as between
one man and one woman, he discreetly reached out to a gay activist in an attempt to dialog. Instead of defending his
rights to religious freedom, Cathy approached the activist in an attitude of
learning and expressed regret that people were mistreated in the name of his
company. Sauls sums up this model of being Jesus outside the lines of our particular Christian tribe’s doctrines on page xxvii with this:
Deep disagreement and no apologies for what he believes.
Love, respect, listening, and friendship.
At the same time.
author also takes this posture as he expresses his views in chapters addressing politics, abortion,
same-sex marriage, the institutional church, money matters, constructive
critique, hell, hypocrisy, suffering, and true humility. Without apologizing
for his conservative views on issues that often polarize Christians from
nonbelievers (and from each other), Sauls
follows his own advice to see the good in all viewpoints by striving to find
points of agreement with those who might disagree with him.
thought the best chapter in the book was “Chastity or Sexual Freedom,” which firmly
____________
Entry 1:
Here is NaPS3 after structural relaxation from the Materials Project database. Energies are from PBE.

ΔH_f (0 K), eV per atom: -0.87
Spin magnetization, μB/cell: 0.00
Space-group type: P2_1/m (11)
Calculated total energy, eV/f.u.: -22.0

extended XYZ file:
```
20
Lattice="-2.6337 7.4165 0.5651 -6.0703 -1.9921 -2.1463 -2.5717 -1.5701 8.6212" Properties=species:S:1:pos:R:3 pbc="T T T"
S -8.1683 2.8394 7.2985
S -2.2201 0.9885 4.2243
S -5.9065 5.3552 6.6858
S -5.3340 -0.0581 3.4467
S -5.3692 -1.5009 0.3542
S -3.1075 1.0149 -0.2584
S -4.8612 2.4116 6.4615
S -6.4145 1.4427 0.5785
S -9.0557 2.8658 2.8158
S -5.9418 3.9123 3.5934
S -8.1722 -1.2678 6.0964
S -3.1035 5.1221 0.9436
P -4.8405 4.1775 5.2464
P -4.9651 0.3852 -0.6518
P -6.3106 3.4691 7.6918
P -6.4352 -0.3232 1.7936
Na -8.7509 4.7814 5.1421
Na -3.7700 2.5796 2.1652
Na -7.5057 1.2747 4.8749
Na -2.5248 -0.9271 1.8980
```

***

Entry 2:
Here is InCuSe2 after structural relaxation from the Materials Project database. Energies are from PBE.

ΔH_f (0 K), eV per atom: -0.61
Spin magnetization, μB/cell: 0.00
Space-group type: Cm (8)
Calculated total energy, eV/f.u.: -15.3

extended XYZ file:
```
4
Lattice="-3.2036 1.7427 1.9606 0.3509 3.8283 1.5606 -2.1689 2.6114 -5.9182" Properties=species:S:1:pos:R:3 pbc="T T T"
Cu -2.0726 3.9235 1.8719
In -2.3432 3.5260 -2.6074
Se -2.8882 4.9043 -0.3506
Se -0.9815 1.8947 1.0882
```

***

Entry 3:
Here is CsKMg6O7 after structural relaxation from the Materials Project database. Energies are from PBE.

ΔH_f (0 K), eV per atom: -2.07
Spin magnetization, μB/cell: 0.00
Space-group type: P4mm (99)
Calculated total energy, eV/f.u.: -72.5

extended XYZ file:
```
15
Lattice="-7.6744 -1.0411 -2.1816 1.3502 -3.8081 -2.9322 -0.6531 -3.1628 3.8068" Properties=species:S:1:pos:R:3 pbc="T T T"
O -4.1736 -2.1033 0.8098
O -5.6082 -0.7608 -1.5943
O -5.4696 -4.2747 -1.2166
O -3.1720 -2.4259 -2.5597
O -0.4401 -1.5968 1.8711
O -1.6399 -3.7552 -0.1280
O 0.5616 -1.9194 -1.4984
Cs -3.2552 -0.4416 -0.9254
Mg -3.5843 -4.0190 -0.6807
Mg -5.1071 -2.6884 -3.1098
Mg 0.3108 -3.4906 0.4266
Mg -1.2689 -2.1677 -2.0187
Mg -6.1088 -2.3658 0.2597
Mg -2.2705 -1.8451 1.3508
K -0.1141 -0.0155 -0.0324
```

***

Entry 4:
Here is La5Mg after structural relaxation from the Materials Project database. Energies are from PBE.

ΔH_f (0 K), eV per atom: 0.01
Spin magnetization, μB/cell: 0.03
Space-group type: Cm (8)
Polymorph energy (0 for the lowest one), kJ per mole of atoms: 0.0
Calculated total energy, eV/f.u.: -26.2

extended XYZ file:
```
6
Lattice="1.8978 6.5247 0.0000 -1.8978 6.5247 0.0000 0.0000 2.6689 8.4744" Properties=species:S:1:pos:R:3 pbc="T T T"
La 0.0000 10.4750 5.7965
La 0.0000 6.2161 7.9177
La 0.0000 13.9444 4.8614
La 0.0000 4.9905 2.8193
La 0.0000 0.1675 0.3124
Mg 0.0000 8.7415 2.3037
```

~~~~~

This record from the Materials Project describes a geometry-optimized Na2SiBiBO7 structure. The functional is PBE.

ρ in Mg/m³: 3.811
E in eV/atom: -6.31
DFT formation energy in eV/atom: -2.28
____________
**The page goes on:**
maintains the Evangelical perspective on sexual purity before marriage and
marriage between one man and one woman, but also urges the church to be the
place where singles and celibate homosexuals could find unconditional love and deep, meaningful relationships. Here I need to pause to say that I’m not 100 percent
sure of my views on gay marriage. Though I grew up holding the belief that the
____________
A relaxed Ho2Te5O13 crystal, computed with GGA-PBE.

Cell and atoms, written as POSCAR:
```
Ho2Te5O13
1.0
-6.001 -1.044 3.476
1.842 -6.244 5.882
2.397 7.484 7.390
O Te Ho
26 10 4
direct
0.957 0.649 0.433
0.673 0.771 0.223
0.337 0.514 0.620
0.043 0.351 0.567
0.649 0.019 0.875
0.934 0.983 0.307
0.933 0.735 0.725
0.671 0.260 0.224
0.941 0.183 0.961
0.314 0.735 0.285
0.066 0.017 0.693
0.124 0.490 0.895
0.533 0.331 0.000
0.329 0.740 0.776
0.351 0.981 0.125
0.460 0.195 0.521
0.663 0.486 0.380
0.876 0.510 0.105
0.067 0.265 0.275
0.236 0.496 0.187
0.467 0.669 0.000
0.540 0.805 0.479
0.764 0.504 0.813
0.686 0.265 0.715
0.327 0.229 0.777
0.059 0.817 0.039
0.122 0.351 0.107
0.709 0.125 0.022
0.845 0.197 0.355
0.272 0.394 0.489
0.559 0.100 0.699
0.878 0.649 0.893
0.155 0.803 0.645
0.728 0.606 0.511
0.441 0.900 0.301
0.291 0.875 0.978
0.000 0.262 0.761
0.447 0.472 0.821
0.000 0.738 0.239
0.553 0.528 0.179
```

## Properties
- Volume: 16.011 A^3/atom



A relaxed Mg6GaSi crystal, computed with GGA-PBE.

Cell and atoms, written as POSCAR:
```
Mg6GaSi
1.0
4.788 0.000 0.000
0.000 6.468 0.000
0.000 0.000 10.621
Mg Ga Si
12 2 2
direct
0.500 0.750 0.584
0.000 0.500 0.669
0.000 0.249 0.913
0.000 0.251 0.413
0.500 0.750 0.084
0.500 0.250 0.584
0.000 0.751 0.913
0.000 0.500 0.170
0.500 0.250 0.084
0.000 0.000 0.670
0.000 0.000 0.169
0.000 0.749 0.413
0.500 0.500 0.833
0.500 0.000 0.333
0.500 0.500 0.334
0.500 0.000 0.834
```

## Properties
- E above lowest polymorph: 0.00 eV/f.u.
- Volume: 20.558 A^3/atom
- Total magnetic moment: 0.0 μB per formula unit



A relaxed MgTe2MoW2Se2S2 crystal, computed with GGA-PBE.

Cell and atoms, written as POSCAR:
```
MgTe2MoW2Se2S2
1.0
-1.240 -2.908 1.132
1.725 2.007 2.067
-31.784 17.183 9.835
Se Mo Te S W Mg
2 1 2 2 2 1
direct
0.335 0.667 0.402
0.341 0.671 0.312
0.334 0.667 0.111
0.665 0.332 0.629
0.669 0.335 0.528
0.665 0.332 0.151
0.670 0.335 0.071
0.334 0.667 0.578
0.671 0.336 0.357
0.662 0.331 0.223
```

## Properties
- E above lowest polymorph: 0.30 eV/f.u.
- Volume: 36.570 A^3/atom
- Total magnetic moment: 0.0 μB per formula unit



A relaxed LiMgH3 crystal, computed with GGA-PBE.

Cell and atoms, written as POSCAR:
```
LiMgH3
1.0
4.663 -2.479 0.000
4.663 2.479 0.000
3.345 0.000 4.087
H Mg Li
6 2 2
direct
0.701 0.102 0.390
0.890 0.602 0.201
0.602 0.201 0.890
0.201 0.890 0.602
0.102 0.390 0.701
0.390 0.701 0.102
0.499 0.499 0.499
0.999 0.999 0.999
0.289 0.289 0.289
0.789 0.789 0.789
```

## Properties
- Piezoelectric modulus e_max: 0.4 C/m2
- Volume: 9.449 A^3/atom



A relaxed Tb3Al2 crystal, computed with GGA-PBE.

Cell and atoms, written as POSCAR:
```
Tb3Al2
1.0
8.281 0.000 0.000
0.000 8.281 0.000
0.000 0.000 7.608
Tb Al
12 8
direct
0.150 0.850 0.000
0.798 0.202 0.500
0.298 0.298 0.000
0.650 0.650 0.500
0.000 0.500 0.750
0.000 0.500 0.250
0.702 0.702 0.000
0.500 0.000 0.750
0.500 0.000 0.250
0.350 0.350 0.500
0.850 0.150 0.000
0.202 0.798 0.500
0.619 0.381 0.806
0.881 0.881 0.306
0.381 0.619 0.806
0.119 0.119 0.306
____________
Bible expressly forbids homosexuals from acting on their desires, I honestly
wish that maybe one day most Christians will interpret the biblical passages on
homosexuality differently, just as Christians see verses mentioning slavery
much different today than 300 years ago. I wish that those born with the desire
to have a loving, exclusive marriage relationship with a soul mate of the same
sex could do so in good conscience. I know there are many gay Christians who
wish this as well. As a pastor of a
large Presbyterian church, the author says he serves many such men and women in his
### Next to the text, the page also holds calculated crystals
┌──
Entry from the Materials Project database: La2CdSe4 after structural relaxation (PBE).

Cell lengths 7.874, 7.874, 7.874 Å; angles 110.89, 110.89, 106.67 degrees
Atoms (fractional coordinates):
Se: 0.134 0.509 0.764
La: 0.375 0.987 0.112
La: 0.013 0.125 0.388
Se: 0.259 0.384 0.264
Se: 0.616 0.880 0.875
La: 0.875 0.263 0.888
Se: 0.491 0.255 0.625
Se: 0.630 0.866 0.375
Se: 0.005 0.741 0.125
Cd: 0.250 0.750 0.500
Cd: 0.500 0.500 0.000
Se: 0.745 0.370 0.236
La: 0.737 0.625 0.612
Se: 0.120 0.995 0.736

Summary:
Total energy after the MP2020 corrections (eV for the cell shown): -74.8
Total energy (eV/atom): -5.08



Entry from the Materials Project database: Na4TeO5 after structural relaxation (PBE).

Cell lengths 5.770, 5.809, 8.653 Å; angles 101.95, 108.76, 102.54 degrees
Atoms (fractional coordinates):
O: 0.923 0.192 0.038
Na: 0.303 0.996 0.599
O: 0.240 0.214 0.846
O: 0.567 0.776 0.760
Na: 0.310 0.515 0.100
Te: 0.901 0.994 0.797
Na: 0.690 0.485 0.900
Na: 0.500 0.500 0.500
O: 0.760 0.786 0.154
Na: 0.500 0.000 0.000
O: 0.433 0.224 0.240
O: 0.258 0.793 0.312
O: 0.742 0.207 0.688
O: 0.090 0.226 0.401
O: 0.077 0.808 0.962
Te: 0.099 0.006 0.203
Na: 0.112 0.494 0.698
Na: 0.697 0.004 0.401
Na: 0.888 0.506 0.302
O: 0.910 0.774 0.599

Summary:
Total energy after the MP2020 corrections (eV for the cell shown): -104.0
ΔE to the lowest computed polymorph (eV/atom): 0.0000
Total energy (eV/atom): -4.85



Q: Number 1 is which compound?
A: La2CdSe4



Q: What is the formula in the first record?
A: La2CdSe4



Q: The lowest total energy belongs to which entry?
A: La2CdSe4

=====

{"formula": "NdPIr", "functional": "PBE", "state": "relaxed", "vol_a3_per_atom": 20.13, "e_tot_ev_per_atom": -7.49, "cell": [[-1.2983, 3.8873, -0.3557], [0.0685, -0.3521, -4.0981], [-6.1565, -4.0218, 2.3073]], "species": ["Nd", "Ir", "Nd", "Ir", "P", "P"], "fractional_positions": [[0.7512, 0.7512, 0.5024], [0.1623, 0.1623, 0.3245], [0.0012, 0.5012, 0.0024], [0.4123, 0.9123, 0.8245], [0.3293, 0.3293, 0.6585], [0.5793, 0.0793, 0.1585]]}

=====

1.
## Li2VFe2O6 (GGA+U)

Data for Li2VFe2O6 after structural relaxation.

The structure in POSCAR format:
```
Li2VFe2O6
1.0
6.363 -4.389 0.000
6.363 4.389 0.000
-1.614 0.000 5.728
Li V Fe O
6 3 6 18
Cartesian
3.120 1.446 3.850
6.363 2.895 0.000
3.120 -1.446 3.850
7.991 1.446 1.877
6.363 -2.895 0.000
7.991 -1.446 1.877
5.555 2.956 2.864
5.555 0.000 2.864
5.555 -2.956 2.864
0.768 0.000 4.822
3.977 1.449 0.937
3.977 -1.449 0.937
7.134 1.449 4.790
7.134 -1.449 4.790
10.343 0.000 0.905
2.122 1.503 0.352
-1.093 0.000 4.219
3.727 2.897 2.237
2.595 0.000 5.377
5.861 1.510 1.562
7.384 2.897 3.491
5.250 1.510 4.166
2.122 -1.503 0.352
3.741 0.000 2.358
7.369 0.000 3.369
8.989 1.503 5.376
5.861 -1.510 1.562
3.727 -2.897 2.237
5.250 -1.510 4.166
8.516 0.000 0.351
7.384 -2.897 3.491
12.203 0.000 1.509
8.989 -1.503 5.376
```

Properties
- Total magnetization: 33.00 Bohr magnetons per cell
- Formation energy: -2124 kJ/mol of formula units
- SG: C2/m (12)



2.
└──
congregation, so he speaks from a place of humility. But to the argument that
gay marriage is a civil rights issue and Christians are going to be on the
wrong side of history, Sauls makes a passionate, loving observation that when
gay Christians surrender their inborn desire to pursue a homosexual
relationship, “it is a surrender that each of them has considered worthwhile,
not because Jesus is a roadblock to love but because Jesus is love itself”
it’s this characteristic attitude of being unapologetic for his Christian
beliefs, yet respectful and open to what others experience and believe that
makes this book worth reading to those who follow Jesus, no matter on
which side of the issues they fall.
*I received a complimentary copy of this book from Tyndale in exchange for my honest review.*